Wanted.
Say how many lines of the entries underneath hold the word "per", as a bare number, please.

Data.
# 1
DFT (PBE-GGA) results for an optimized crystal structure of Ba2ScTi2BiO9.

Lattice parameters (Å, degrees): 9.0069 9.0069 4.0434 90.00 90.00 142.59
Fractional coordinates of all 15 atoms:
Ba: 0.1666 0.8334 0.0000
Ba: 0.8334 0.1666 0.0000
Sc: 0.0000 0.0000 0.5000
Ti: 0.3341 0.6659 0.5000
Ti: 0.6659 0.3341 0.5000
Bi: 0.5000 0.5000 0.0000
O: 0.0000 0.0000 0.0000
O: 0.0000 0.5000 0.5000
O: 0.1885 0.3541 0.5000
O: 0.3364 0.6636 0.0000
O: 0.3541 0.1885 0.5000
O: 0.5000 0.0000 0.5000
O: 0.6459 0.8115 0.5000
O: 0.6636 0.3364 0.0000
O: 0.8115 0.6459 0.5000

Energy of formation, eV per formula unit: -47.6
Energy, eV per atom: -7.722
Volume, Å³/f.u.: 199.3



# 2
DFT (PBE-GGA) results for an optimized crystal structure of NaMgTi2BiO6.

Lattice parameters (Å, degrees): 5.5488 5.5593 6.0396 112.69 112.30 90.04
Fractional coordinates of all 11 atoms:
Na: 0.0000 0.0000 0.0000
Mg: 0.3661 0.3626 0.6769
Ti: 0.4061 0.8937 0.7565
Ti: 0.8972 0.4060 0.7592
Bi: 0.7016 0.6975 0.2801
O: 0.0224 0.6093 0.1041
O: 0.1051 0.6024 0.6578
O: 0.1424 0.1402 0.7356
O: 0.5969 0.5929 0.6233
O: 0.6025 0.0135 0.1014
O: 0.6080 0.1031 0.6620

Energy of formation, eV per formula unit: -27.7
Energy, eV per atom: -6.901
Volume, Å³/f.u.: 156.7



# 3
DFT (PBE-GGA) results for an optimized crystal structure of HgH20C6N2Cl4.

Lattice parameters (Å, degrees): 6.6676 13.7374 20.0425 90.00 107.29 90.00
Fractional coordinates of all 132 atoms:
Hg: 0.0643 0.2427 0.3445
Hg: 0.0643 0.2573 0.8445
Hg: 0.9357 0.7427 0.1555
Hg: 0.9357 0.7573 0.6555
H: 0.0754 0.6422 0.4299
H: 0.0754 0.8578 0.9299
H: 0.0810 0.6571 0.5200
H: 0.0810 0.8429 0.0200
H: 0.0861 0.6843 0.9165
H: 0.0861 0.8157 0.4165
H: 0.0922 0.6672 0.0065
H: 0.0922 0.8328 0.5065
H: 0.1556 0.5048 0.7398
H: 0.1556 0.9952 0.2398
H: 0.1971 0.5170 0.1552
H: 0.1971 0.9830 0.6552
H: 0.2609 0.5508 0.8269
H: 0.2609 0.9492 0.3269
H: 0.2724 0.5818 0.4981
H: 0.2724 0.9182 0.9981
H: 0.2915 0.6132 0.9751
H: 0.2915 0.8868 0.4751
H: 0.3075 0.1018 0.6821
H: 0.3075 0.3982 0.1821
H: 0.3111 0.6141 0.7543
H: 0.3111 0.8859 0.2543
H: 0.3324 0.5724 0.2751
H: 0.3324 0.9276 0.7751
H: 0.3469 0.7197 0.3884
H: 0.3469 0.7803 0.8884
H: 0.3707 0.0364 0.6125
H: 0.3707 0.4636 0.1125
H: 0.3936 0.0572 0.1787
H: 0.3936 0.4428 0.6787
H: 0.4079 0.7400 0.5404
H: 0.4079 0.7600 0.0404
H: 0.4372 0.0475 0.7997
H: 0.4372 0.4525 0.2997
H: 0.4402 0.2170 0.5489
H: 0.4402 0.2830 0.0489
H: 0.4611 0.1535 0.0437
H: 0.4611 0.3465 0.5437
H: 0.4644 0.0847 0.3029
H: 0.4644 0.4153 0.8029
H: 0.5356 0.5847 0.1971
H: 0.5356 0.9153 0.6971
H: 0.5389 0.6535 0.4563
H: 0.5389 0.8465 0.9563
H: 0.5598 0.7170 0.9511
H: 0.5598 0.7830 0.4511
H: 0.5628 0.5475 0.7003
H: 0.5628 0.9525 0.2003
H: 0.5921 0.2400 0.9596
H: 0.5921 0.2600 0.4596
H: 0.6064 0.5572 0.3213
H: 0.6064 0.9428 0.8213
H: 0.6293 0.5364 0.8875
H: 0.6293 0.9636 0.3875
H: 0.6531 0.2197 0.1116
H: 0.6531 0.2803 0.6116
H: 0.6676 0.0724 0.2249
H: 0.6676 0.4276 0.7249
H: 0.6889 0.1141 0.7457
H: 0.6889 0.3859 0.2457
H: 0.6925 0.6018 0.8179
H: 0.6925 0.8982 0.3179
H: 0.7085 0.1132 0.5249
H: 0.7085 0.3868 0.0249
H: 0.7276 0.0818 0.0019
H: 0.7276 0.4182 0.5019
H: 0.7391 0.0508 0.6731
H: 0.7391 0.4492 0.1731
H: 0.8029 0.0170 0.3448
H: 0.8029 0.4830 0.8448
H: 0.8444 0.0048 0.7602
H: 0.8444 0.4952 0.2602
H: 0.9078 0.1672 0.4935
H: 0.9078 0.3328 0.9935
H: 0.9139 0.1843 0.5835
H: 0.9139 0.3157 0.0835
H: 0.9190 0.1571 0.9800
H: 0.9190 0.3429 0.4800
H: 0.9246 0.1422 0.0701
H: 0.9246 0.3578 0.5701
C: 0.1752 0.6472 0.4841
C: 0.1752 0.8528 0.9841
C: 0.1864 0.6756 0.9705
C: 0.1864 0.8244 0.4705
C: 0.2875 0.5430 0.7761
C: 0.2875 0.9570 0.2761
C: 0.3344 0.0302 0.6621
C: 0.3344 0.4698 0.1621
C: 0.4507 0.7215 0.4423
C: 0.4507 0.7785 0.9423
C: 0.4693 0.5253 0.2829
C: 0.4693 0.9747 0.7829
C: 0.5307 0.0253 0.2171
C: 0.5307 0.4747 0.7171
C: 0.5493 0.2215 0.0577
C: 0.5493 0.2785 0.5577
C: 0.6656 0.5302 0.8379
C: 0.6656 0.9698 0.3379
C: 0.7125 0.0430 0.7239
C: 0.7125 0.4570 0.2239
C: 0.8136 0.1756 0.5295
C: 0.8136 0.3244 0.0295
C: 0.8248 0.1472 0.0159

Outcome.
4